[Data]
........
# SrCrO3
Calculated PXRD pattern, Cu Kα (weighted mean of Kα1 and Kα2). Input: a structure optimized by DFT (PBE+U).

Most intense lines, 10 to 90 degrees two-theta, by angle:
| 2theta | I/Imax | hkl |
| --- | --- | --- |
| 26.7 | 54.5 | 1 0 2 |
| 32.3 | 100.0 | 1 1 0 |
| 34.4 | 51.0 | 1 0 3 |
| 38.6 | 9.4 | 0 0 4 |
| 42.4 | 55.9 | 2 0 2 |
| 43.1 | 9.5 | 1 0 4 |
| 47.9 | 37.3 | 2 0 3 |
| 54.3 | 13.1 | 2 1 2 |
| 57.6 | 18.3 | 3 0 0 |
| 58.9 | 22.5 | 2 1 3 |
| 67.6 | 21.9 | 2 2 0 |
| 72.5 | 12.8 | 2 0 6 |

Unit cell a=5.5424 b=5.5424 c=9.3250 alpha=90.00 beta=90.00 gamma=120.00
Atoms (fractional coordinates):
Sr: 0.0000 0.0000 0.0000
Sr: 0.0000 0.0000 0.5000
Sr: 0.3333 0.6667 0.2500
Sr: 0.6667 0.3333 0.7500
Cr: 0.3333 0.6667 0.6131
Cr: 0.3333 0.6667 0.8869
Cr: 0.6667 0.3333 0.1131
Cr: 0.6667 0.3333 0.3869
O: 0.0000 0.5000 0.0000
O: 0.0000 0.5000 0.5000
O: 0.1794 0.3588 0.7500
O: 0.1794 0.8206 0.7500
O: 0.3588 0.1794 0.2500
O: 0.5000 0.0000 0.0000
O: 0.5000 0.0000 0.5000
O: 0.5000 0.5000 0.0000
O: 0.5000 0.5000 0.5000
O: 0.6412 0.8206 0.7500
O: 0.8206 0.1794 0.2500
........

[Request]
Now search the contents above for the word "Imax" and retype each line that has it.

[Worked solution]
| 2theta | I/Imax | hkl |